The Rising Costs of Aging Perlers: Part 1, The Data

3 minute read

Hello, Friendly Perl Community! You may not want to hear this, but you’re not getting any younger. This is having a dramatic effect on the bottom line of companies which do or would use Perl.

A few months ago I started helping a friend recruit Perl developers for the company where he works. Aside from talking to the many people I know in the community I also put out several open calls for developers interested in switching jobs. I’ve now met and spoken with many great people—most of whom I’d never have had the chance to meet otherwise—and I’m very grateful for that opportunity. It’s helped remind me why Perl is my open source community of choice.

However, after only a few weeks I started to notice something odd: I had yet to speak with anyone who wasn’t Senior Developer. The overwhelming majority of persons with whom I spoke had well over ten years of experience with Perl. I believe the lowest number of years of Perl experience I saw was around eight. In my town of San Francisco it’s reasonable to see Senior Developers with five or fewer years of experience with a language. You can quibble with that definition, but there’s no denying that it’s the way we do things here. And since I was recruiting for a San Francisco office, all of these candidates qualified as Senior.

____________
6
Lattice="2.850 0.000 0.000 0.000 6.091 0.000 0.000 0.000 3.917" Properties=species:S:1:pos:R:3 comment="Mn2S (PBE-GGA, relaxed)" dos_ef_per_ev_cell=7.31 formation_energy_uncorrected_ev_per_atom=0.0112 volume_a3_per_atom=11.3 final_energy_ev_per_fu=-22.4 pbc="T T T"
Mn 0.000 1.869 1.958
Mn 0.000 4.222 1.958
Mn 1.425 1.177 0.000
Mn 1.425 4.914 0.000
S 1.425 0.000 1.958
S 0.000 3.045 0.000
____________
-- The article goes on --

When I recognized that I was only speaking with (or even hearing of) senior developers some gears started turning in my mind. To verify my suspicion that Perl is a language of aging practitioners with few people available to replenish the ranks, I gathered some data…

Exhibits A and B. Since 2009, YAPC::NA and YAPC::EU have asked the following question on their respective post-conference surveys:

How do you rate your Perl knowledge?

  • Beginner
  • Intermediate
  • Advanced

All YAPC survey data is available online. I compiled the data from the past four years of responses to that question. The result was the following graphs. The Y-axis is the number of respondents in that year.

YAPC::EU Perl Experience by Year, 2009-2012
YAPC::NA Perl Experience by Year, 2009-2012

As the definitions of “Beginner,” “Intermediate,” and “Advanced” are left as exercises for the respondent, it’s impossible to make a direct correlation between these results and my soft definition of “senior developer” as one with five or more years of experience. Regardless, it’s very obvious from these graphs that there are remarkably few junior Perl programmers available and that issue is not being resolved as the years pass.

Because the best kind of data is MOAR DATA, I ran a very informal poll on the Linkedin Perl group. The question and results:

How many years have you been programming Perl?

70% of the respondents have more than five years of experience programming Perl. A mere 13% are new to the language. (If you tilt your head to the right you can see a graphic summary of what this might mean for the Perl community.)

Granted, there is no small amount of selection bias going on here. People who attend YAPC or participate in the Linkedin Perl group are more likely to be more experienced and comfortable in the community than more junior developers.

Regardless, after seeing these numbers I’m convinced that the practitioners of Perl are aging and not enough junior developers are being created to sustain the language as a going concern in the development world. What’s worse, Perl does not appear to have any sort of succession plan. It’s turning into the Shakers of the software development world: attempting to rely on conversion for proliferation rather than on reproduction.

In the next post, I’ll tell you why you should care about this. Read Part 2